Work and Kinetic Energy - The Citadel Physics Department

Physics 203 – College Physics I
Department of Physics – The Citadel
Physics 203
College Physics I
Fall 2012
S. A. Yost
Chapter 6 Part 1
Work and Kinetic Energy
Physics 203 – College Physics I
Department of Physics – The Citadel
Read Chapter 6 for next time. You can skip sec. 6-2.
Today we will discuss sec. 6.1, 6.3, and 6.10 on
Work, Kinetic Energy, and Power.
There is a problem set on these sections due
Thursday: HW3A
Next time, we will discuss sec. 6.4 – 6.9: Potential
Energy, Energy Conservation, Non-Conservative
Problem set HW3B is due next Tuesday.
Physics 203 – College Physics I
Department of Physics – The Citadel
Newton’s Law and Orbits
First: an orbit problem…
Determine the mass of the sun using the properties
of Earth’s orbit. (You can treat it as circular.)
Newton’s Gravitational law:
Newton’s 2nd Law:
F = G Ms Me / R2.
F = Mea = Mev2/R
Uniform circular motion: v = 2pR / T
G Ms Me / R2 = Me (2p/T)2 R
Ms = (2p/T)2 R3 / G
Physics 203 – College Physics I
Department of Physics – The Citadel
Newton’s Law and Orbits
Ms = 4p2 R3/(GT2)
R = 1.50 × 1011 m
T = 1 year = 3.16 × 107 s
G = 6.67 × 10–11 Nm2/kg2
The numbers give Ms = 2.00 × 1030 kg
Physics 203 – College Physics I
Department of Physics – The Citadel
Effect of Force over Distance
Applying a force to a particle over distance
changes its speed in the direction of the
vf2 – vi2 = 2ax
(1 dim)
Multiply by ½ m: ½ mvf2 – ½mvi2 = max
Use F = ma:
½ mvf2 – ½ mvi2 = Fx
Physics 203 – College Physics I
Department of Physics – The Citadel
The Work-Energy Theorem
Definitions: Kinetic Energy = K = ½ mv2.
Work = W = Fx.
Units: Work = N m = Joules (J).
Work-energy principle: The work done by the
net force on a mass causes a change in
kinetic energy:
DK = W
Physics 203 – College Physics I
Department of Physics – The Citadel
Work Requires Motion
Work is done only when there is
W = Fx requires both F and x to
be nonzero for W to be
You can push all day on a wall
and get very tired, but if it
doesn’t move, you did no work
on it.
Physics 203 – College Physics I
Department of Physics – The Citadel
Suppose you apply a force Fp = 50 N to a box,
which causes it to move at a constant speed
through a distance of 10 m. What is the net
work done on the box?
A) 0.2 J
B) 500 J
C) 250 J
D) 0 J
Fp = 50 N E) 5 J
10 m
Physics 203 – College Physics I
Department of Physics – The Citadel
Suppose you apply a force Fp = 60 N to a box of
mass m = 15 kg initially at rest, with coefficient
of kinetic friction mk = 0.3.
Two forces act on the box:
Fp and Ff = mkmg.
Physics 203 – College Physics I
Department of Physics – The Citadel
1. How much work do you do on the box when it
moves a distance x = 12 m?
You do an amount of work
Wp = Fp x = (60 N)(12 m) = 720 Nm
= 720 J
The pushing force is in the
direction of motion, so
the work is positive.
Physics 203 – College Physics I
Department of Physics – The Citadel
2. How much work does friction do when you move
the box 12 m?
The force of friction is
Ff = – mk mg = – (0.3)(15 kg)(9.8 m/s2) = –44 N
The work done by friction is
Wf = Ff x = (–44 N)(12 m) = –528 J
Physics 203 – College Physics I
Department of Physics – The Citadel
3. What is the kinetic energy of the box after being
pushed 12 m?
The box was initially at rest, so the kinetic energy is the
net work,
K = Wp + Wf = 720 J – 528 J = 192 J
4. What is the speed of the box after being pushed 12 m?
The kinetic energy is K = ½ m v2 .
v = √ 2 K/m = √ 2(192 J) / 15 kg = 5.1 m/s
Physics 203 – College Physics I
Department of Physics – The Citadel
A satellite of weight mg is in a near-Earth circular
orbit. How much work does gravity do on the
satellite during each orbit?
A) mgRe
B) 2pmgRe
C) 0
Think of the work-energy principle: DK = W.
Physics 203 – College Physics I
Department of Physics – The Citadel
Work in More than 1 Dimension
Only the component of force in the direction
of motion does work.
W = (F cos q) x
A force perpendicular to the motion does no
It can’t change the speed, so it doesn’t affect
the kinetic energy. W = DK
Physics 203 – College Physics I
Department of Physics – The Citadel
High Dive via Work/Energy
5.0 m
A diver jumps with initial speed
v0 = 1.4 m/s. At what speed does she
enter the water 5.0 m below?
Kf = K0 + W with K0 = ½ mv02,
Kf = ½ mvf
Gravity is a constant force in the -y
direction, so W = - mg Dy = mgh.
The x motion does not affect the work.
Physics 203 – College Physics I
Department of Physics – The Citadel
High Dive via Work/Energy
Kf = K0 + W
5.0 m
½ mvf2 = ½ mv02 + mgh
vf = √v02 + 2gh
v0 = 1.4 m/s, g = 9.8 m/s2, h = 5.0 m.
vf = 10.0 m/s.
Physics 203 – College Physics I
Department of Physics – The Citadel
Bowling Balls
A ball-feeder lifts balls up a 1 m long ramp to a
platform 0.5 m above the floor. How much
force must the feeder arm exert to lift a ball
weighing 50 N?
0.5 m
Enter the answer in Newtons.
Physics 203 – College Physics I
Department of Physics – The Citadel
Bowling Balls
The feeder does work Wp = Fp L = F × 1.0 m.
Gravity does work Wg = - mgh = -(50N)(0.5 m)
= - 25 N
Wp must be at least 25 J.
0.5 m
Fp must be at least 25 N.
Physics 203 – College Physics I
Department of Physics – The Citadel
Power is the rate of doing work: P = W/t.
If the force F acts in the direction of motion, then
P = Fv
These are consistent because x = v t is the distance
traveled, so
P = F v = F x/t = W/t.
Physics 203 – College Physics I
Department of Physics – The Citadel
Bowling Balls
If the ball feeder is powered by a 5 W motor,
how many balls per minute can it lift, in
continuous operation?
0.5 m
Each ball required Wp = 25 J of work. The
motor supplies (5 W) (60 s) = 300 J in a
minute. That is enough energy to lift 12 balls.
Physics 203 – College Physics I
Department of Physics – The Citadel
How much force do I have to
pull with to lift a block of
mass M at a constant
Solve it using work and
Physics 203 – College Physics I
Department of Physics – The Citadel
Pulling a distance L with
force Fp does work
Wp = Fp L
The block moves up a
distance ½ L while lifted
with a force FLift = Mg.
Wp = FpL = WLift = ½ LMg
Fp = ½ Mg
Physics 203 – College Physics I
Department of Physics – The Citadel
Work by a Spring
When a spring is
compressed or
stretched, there is a
restoring force given
by Hooke’s Law,
F = – k x.
k = spring constant.
x = -L
Physics 203 – College Physics I
Department of Physics – The Citadel
Work by a Spring
Suppose a ball is placed
in front of the spring.
If it is held at x = –L and
== Here the piece breaks off for crystal structures ==
BaLi3Zn2: computed X-ray powder pattern (CuKα), based on a structure optimized by DFT (PBE).
Neutral-atom scattering factors, no anomalous dispersion.

Largest 8 diffraction maxima, sorted by position, 2θ = 10–90°:
11.3°, rel. 56; 25.4°, rel. 27; 26.5°, rel. 100; 28.5°, rel. 49; 30.1°, rel. 25; 35.3°, rel. 22; 37.8°, rel. 28; 38.9°, rel. 23

Atomic structure:
Lattice parameters (Å, degrees): 8.396 8.396 8.623 113.93 113.93 32.05
Atoms (fractional coordinates):
Ba  0.157  0.157  0.075
Ba  0.843  0.843  0.925
Li  0.031  0.031  0.360
Li  0.318  0.318  0.547
Li  0.420  0.420  0.347
Li  0.580  0.580  0.653
Li  0.682  0.682  0.453
Li  0.969  0.969  0.640
Zn  0.174  0.174  0.662
Zn  0.481  0.481  0.835
Zn  0.519  0.519  0.165
Zn  0.826  0.826  0.338

---

MgMo2: computed X-ray powder pattern (CuKα), based on a structure optimized by DFT (PBE).
Neutral-atom scattering factors, no anomalous dispersion.

Largest 8 diffraction maxima, sorted by position, 2θ = 10–90°:
22.0°, rel. 50; 22.4°, rel. 24; 37.9°, rel. 46; 38.3°, rel. 55; 39.1°, rel. 100; 42.7°, rel. 94; 55.0°, rel. 30; 84.1°, rel. 21

Atomic structure:
Lattice parameters (Å, degrees): 8.051 8.051 4.702 90.00 90.00 161.00
Atoms (fractional coordinates):
Mg  0.118  0.882  0.750
Mg  0.882  0.118  0.250
Mo  0.213  0.787  0.250
Mo  0.454  0.546  0.750
Mo  0.546  0.454  0.250
Mo  0.787  0.213  0.750

---

DyCrS4: computed X-ray powder pattern (CuKα), based on a structure optimized by DFT (PBE).
Neutral-atom scattering factors, no anomalous dispersion.

Largest 8 diffraction maxima, sorted by position, 2θ = 10–90°:
17.2°, rel. 100; 24.0°, rel. 67; 26.4°, rel. 37; 26.9°, rel. 37; 27.2°, rel. 58; 34.2°, rel. 48; 39.4°, rel. 46; 43.2°, rel. 49

Atomic structure:
Lattice parameters (Å, degrees): 7.006 7.006 5.879 108.84 108.84 109.09
Atoms (fractional coordinates):
Dy  0.131  0.869  0.750
Dy  0.869  0.131  0.250
Cr  0.495  0.505  0.250
Cr  0.505  0.495  0.750
S  0.159  0.284  0.794
S  0.236  0.555  0.432
S  0.284  0.159  0.294
S  0.445  0.764  0.068
S  0.555  0.236  0.932
S  0.716  0.841  0.706
S  0.764  0.445  0.568
S  0.841  0.716  0.206

---

CsMn2HgI8: computed X-ray powder pattern (CuKα), based on a structure optimized by DFT (PBE).
Neutral-atom scattering factors, no anomalous dispersion.

Largest 8 diffraction maxima, sorted by position, 2θ = 10–90°:
17.6°, rel. 25; 24.9°, rel. 30; 25.2°, rel. 88; 29.1°, rel. 100; 41.4°, rel. 53; 41.9°, rel. 53; 49.3°, rel. 27; 51.8°, rel. 20

Atomic structure:
then released, how
much work does the
spring do on the ball
as it returns to its
equilibrium position,
launching the ball?
x = -L
Physics 203 – College Physics I
Department of Physics – The Citadel
Work by a Spring
The work done by a changing force is the average
force times the distance.
The force decreases from
kL down to 0 linearly, kL
so the average force
is F = ½ kL.
W = ½ k L2
Physics 203 – College Physics I
Department of Physics – The Citadel
Spring Gun
Suppose a ball of mass
m = 250 g is pushed back
an distance L = 4 cm on a
spring of spring constant
k = 120 N/cm and released.
How much work is needed
to compress the spring?
L = 0.040 m
k = 12,000 N/m
W = ½ kL2 = 9.60 J.
Physics 203 – College Physics I
Department of Physics – The Citadel
Spring Gun
When the spring is released,
what is the launch speed
of the ball?
Work-Energy Theorem:
K = ½ mv 2 = W = 9.60 J.
m = 0.250 kg.
v = √2K/m = 8.76 m/s.